(1)
Ba2Mg3Cl10 | GGA-PBE | optimized geometry

```
Ba2Mg3Cl10
1.0
11.5177 -3.6256 0.0000
11.5177 3.6256 0.0000
-3.3863 0.0000 9.0233
Ba Mg Cl
4 6 20
direct
0.1176 0.1176 0.2277
0.2280 0.2280 0.8176
0.7720 0.7720 0.1824
0.8824 0.8824 0.7723
0.2397 0.7603 0.5000
0.3238 0.3238 0.4731
0.4264 0.4264 0.0440
0.5736 0.5736 0.9560
0.6762 0.6762 0.5269
0.7603 0.2397 0.5000
0.0000 0.5000 0.5000
0.0114 0.0114 0.6902
0.1036 0.5971 0.0296
0.1182 0.6522 0.4554
0.2603 0.2603 0.2104
0.2638 0.7362 0.0000
0.3478 0.8818 0.5446
0.3656 0.3656 0.7512
0.4029 0.8964 0.9704
0.4836 0.4836 0.3162
0.5000 0.0000 0.5000
0.5164 0.5164 0.6838
0.5971 0.1036 0.0296
0.6344 0.6344 0.2488
0.6522 0.1182 0.4554
0.7362 0.2638 0.0000
0.7397 0.7397 0.7896
0.8818 0.3478 0.5446
0.8964 0.4029 0.9704
0.9886 0.9886 0.3098
```

Calculated values
space-group type	C2/m (12)
crystal system	monoclinic
total magnetization	0.0	Bohr magnetons per cell
calculated total energy	-3.886	eV per atom
D(E_F)	0.000	states/eV per atom

***

(2)
BaMg2Cl6 | GGA-PBE | optimized geometry

```
BaMg2Cl6
1.0
6.8127 -2.5615 0.0000
6.8127 2.5615 0.0000
-2.2000 0.0000 8.5321
Ba Mg Cl
1 2 6
direct
0.0000 0.0000 0.0000
0.2314 0.2314 0.6537
0.7686 0.7686 0.3463
0.0722 0.0722 0.7023
0.2404 0.2404 0.3791
0.3633 0.3633 0.8911
0.6367 0.6367 0.1089
0.7596 0.7596 0.6209
0.9278 0.9278 0.2977
```

Calculated values
space-group type	C2/m (12)
crystal system	monoclinic
total magnetization	0.1	Bohr magnetons per cell
D(E_F)	0.000	states/eV per atom
energy above the most stable polymorph in this dataset	0.0589	eV per atom

***

(3)
BaMg2Cl6 | GGA-PBE | optimized geometry

```
BaMg2Cl6
1.0
6.6080 0.0000 0.0000
-3.3040 5.7227 0.0000
0.0000 0.0000 6.6817
Ba Mg Cl
1 2 6
direct
0.0000 0.0000 0.0000
0.3333 0.6667 0.5000
0.6667 0.3333 0.5000
0.0000 0.3727 0.7144
0.0000 0.6273 0.2856
0.3727 0.0000 0.7144
0.3727 0.3727 0.2856
0.6273 0.0000 0.2856
0.6273 0.6273 0.7144
```

Calculated values
space-group type	P-31m (162)
crystal system	trigonal
total magnetization	0.0	Bohr magnetons per cell
D(E_F)	0.000	states/eV per atom
energy above the most stable polymorph in this dataset	0.0000	eV per atom

***

(4)
BaMg2Cl2 | GGA-PBE | optimized geometry

```
BaMg2Cl2
1.0
7.9128 0.0000 0.0000
0.0000 7.9128 0.0000
0.0000 0.0000 5.9039
Ba Mg Cl
2 4 4
direct
0.0000 0.0000 0.0000
0.5000 0.5000 0.0000
0.1416 0.3584 0.5000
0.3584 0.8584 0.5000
0.6416 0.1416 0.5000
0.8584 0.6416 0.5000
0.1578 0.6578 0.0000
0.3422 0.1578 0.0000
0.6578 0.8422 0.0000
0.8422 0.3422 0.0000
```

Calculated values
space-group type	P4/mbm (127)
crystal system	tetragonal
total magnetization	0.0	Bohr magnetons per cell
D(E_F)	0.006	states/eV per atom
energy above the most stable polymorph in this dataset	0.1515	eV per atom

***

(5)
BaMgCl3 | GGA-PBE | optimized geometry

```
BaMgCl3
1.0
5.1240 0.0000 0.0000
0.0000 5.1240 0.0000
0.0000 0.0000 5.1240
Ba Mg Cl
1 1 3
direct
0.0000 0.0000 0.0000
0.5000 0.5000 0.5000
0.0000 0.5000 0.5000
0.5000 0.0000 0.5000
0.5000 0.5000 0.0000
```

Calculated values
space-group type	Pm-3m (221)
crystal system	cubic
total magnetization	0.0	Bohr magnetons per cell
D(E_F)	0.487	states/eV per atom
energy above the most stable polymorph in this dataset	0.0000	eV per atom

***

(6)
BaMgCl4 | GGA-PBE | optimized geometry

```
BaMgCl4
1.0
-4.9045 4.9045 4.2526
4.9045 -4.9045 4.2526
4.9045 4.9045 -4.2526
Ba Mg Cl
2 2 8
direct
0.3750 0.6250 0.7500
0.6250 0.3750 0.2500
0.1250 0.8750 0.2500
0.8750 0.1250 0.7500
0.1253 0.6939 0.4314
0.2375 0.3061 0.9314
0.3061 0.2375 0.4314
0.3061 0.8747 0.0686
0.6939 0.1253 0.9314
0.6939 0.7625 0.5686
0.7625 0.6939 0.0686
0.8747 0.3061 0.5686
```

Calculated values
space-group type	I4_1/amd (141)
crystal system	tetragonal
total magnetization	0.0	Bohr magnetons per cell
D(E_F)	0.000	states/eV per atom
energy above the most stable polymorph in this dataset	0.0000	eV per atom

***

(7)
BaMg3Cl | GGA-PBE | optimized geometry

```
BaMg3Cl
1.0
7.1723 0.0000 0.0000
0.0000 7.1723 0.0000
0.0000 0.0000 7.1723
Ba Mg Cl
1 3 1
Could you reproduce everything further above character by character?
(1)
Ba2Mg3Cl10 | GGA-PBE | optimized geometry

```
Ba2Mg3Cl10
1.0
11.5177 -3.6256 0.0000
11.5177 3.6256 0.0000
-3.3863 0.0000 9.0233
Ba Mg Cl
4 6 20
direct
0.1176 0.1176 0.2277
0.2280 0.2280 0.8176
0.7720 0.7720 0.1824
0.8824 0.8824 0.7723
0.2397 0.7603 0.5000
0.3238 0.3238 0.4731
0.4264 0.4264 0.0440
0.5736 0.5736 0.9560
0.6762 0.6762 0.5269
0.7603 0.2397 0.5000
0.0000 0.5000 0.5000
0.0114 0.0114 0.6902
0.1036 0.5971 0.0296
0.1182 0.6522 0.4554
0.2603 0.2603 0.2104
0.2638 0.7362 0.0000
0.3478 0.8818 0.5446
0.3656 0.3656 0.7512
0.4029 0.8964 0.9704
0.4836 0.4836 0.3162
0.5000 0.0000 0.5000
0.5164 0.5164 0.6838
0.5971 0.1036 0.0296
0.6344 0.6344 0.2488
0.6522 0.1182 0.4554
0.7362 0.2638 0.0000
0.7397 0.7397 0.7896
0.8818 0.3478 0.5446
0.8964 0.4029 0.9704
0.9886 0.9886 0.3098
```

Calculated values
space-group type	C2/m (12)
crystal system	monoclinic
total magnetization	0.0	Bohr magnetons per cell
calculated total energy	-3.886	eV per atom
D(E_F)	0.000	states/eV per atom

***

(2)
BaMg2Cl6 | GGA-PBE | optimized geometry

```
BaMg2Cl6
1.0
6.8127 -2.5615 0.0000
6.8127 2.5615 0.0000
-2.2000 0.0000 8.5321
Ba Mg Cl
1 2 6
direct
0.0000 0.0000 0.0000
0.2314 0.2314 0.6537
0.7686 0.7686 0.3463
0.0722 0.0722 0.7023
0.2404 0.2404 0.3791
0.3633 0.3633 0.8911
0.6367 0.6367 0.1089
0.7596 0.7596 0.6209
0.9278 0.9278 0.2977
```

Calculated values
space-group type	C2/m (12)
crystal system	monoclinic
total magnetization	0.1	Bohr magnetons per cell
D(E_F)	0.000	states/eV per atom
energy above the most stable polymorph in this dataset	0.0589	eV per atom

***

(3)
BaMg2Cl6 | GGA-PBE | optimized geometry

```
BaMg2Cl6
1.0
6.6080 0.0000 0.0000
-3.3040 5.7227 0.0000
0.0000 0.0000 6.6817
Ba Mg Cl
1 2 6
direct
0.0000 0.0000 0.0000
0.3333 0.6667 0.5000
0.6667 0.3333 0.5000
0.0000 0.3727 0.7144
0.0000 0.6273 0.2856
0.3727 0.0000 0.7144
0.3727 0.3727 0.2856
0.6273 0.0000 0.2856
0.6273 0.6273 0.7144
```

Calculated values
space-group type	P-31m (162)
crystal system	trigonal
total magnetization	0.0	Bohr magnetons per cell
D(E_F)	0.000	states/eV per atom
energy above the most stable polymorph in this dataset	0.0000	eV per atom

***

(4)
BaMg2Cl2 | GGA-PBE | optimized geometry

```
BaMg2Cl2
1.0
7.9128 0.0000 0.0000
0.0000 7.9128 0.0000
0.0000 0.0000 5.9039
Ba Mg Cl
2 4 4
direct
0.0000 0.0000 0.0000
0.5000 0.5000 0.0000
0.1416 0.3584 0.5000
0.3584 0.8584 0.5000
0.6416 0.1416 0.5000
0.8584 0.6416 0.5000
0.1578 0.6578 0.0000
0.3422 0.1578 0.0000
0.6578 0.8422 0.0000
0.8422 0.3422 0.0000
```

Calculated values
space-group type	P4/mbm (127)
crystal system	tetragonal
total magnetization	0.0	Bohr magnetons per cell
D(E_F)	0.006	states/eV per atom
energy above the most stable polymorph in this dataset	0.1515	eV per atom

***

(5)
BaMgCl3 | GGA-PBE | optimized geometry

```
BaMgCl3
1.0
5.1240 0.0000 0.0000
0.0000 5.1240 0.0000
0.0000 0.0000 5.1240
Ba Mg Cl
1 1 3
direct
0.0000 0.0000 0.0000
0.5000 0.5000 0.5000
0.0000 0.5000 0.5000
0.5000 0.0000 0.5000
0.5000 0.5000 0.0000
```

Calculated values
space-group type	Pm-3m (221)
crystal system	cubic
total magnetization	0.0	Bohr magnetons per cell
D(E_F)	0.487	states/eV per atom
energy above the most stable polymorph in this dataset	0.0000	eV per atom

***

(6)
BaMgCl4 | GGA-PBE | optimized geometry

```
BaMgCl4
1.0
-4.9045 4.9045 4.2526
4.9045 -4.9045 4.2526
4.9045 4.9045 -4.2526
Ba Mg Cl
2 2 8
direct
0.3750 0.6250 0.7500
0.6250 0.3750 0.2500
0.1250 0.8750 0.2500
0.8750 0.1250 0.7500
0.1253 0.6939 0.4314
0.2375 0.3061 0.9314
0.3061 0.2375 0.4314
0.3061 0.8747 0.0686
0.6939 0.1253 0.9314
0.6939 0.7625 0.5686
0.7625 0.6939 0.0686
0.8747 0.3061 0.5686
```

Calculated values
space-group type	I4_1/amd (141)
crystal system	tetragonal
total magnetization	0.0	Bohr magnetons per cell
D(E_F)	0.000	states/eV per atom
energy above the most stable polymorph in this dataset	0.0000	eV per atom

***

(7)
BaMg3Cl | GGA-PBE | optimized geometry

```
BaMg3Cl
1.0
7.1723 0.0000 0.0000
0.0000 7.1723 0.0000
0.0000 0.0000 7.1723
Ba Mg Cl
1 3 1